Table of Contents

1. What is violence against the child?

2. How are parents who violence against the child be punished?

2.1 Administrative responsibility

2.2 Criminal prosecution

1. What is child abuse?

Based on the provisions of Clause 6, Article 4 of the 2016 Law on Children, child abuse is defined as follows: “6. Violence against the child refers to acts of maltreating, persecuting or beating a child; taking physical abuse or causing harm to the child’s health; reviling or offending honor or dignity of the child; segregating, driving the child away and other deliberate acts that cause physical and mental harm to the child.”

In addition, according to Clause 1, Article 3 of the Law on Prevention and Control of Domestic Violence 2022, which stipulates acts of domestic violence:

“Article 3. Domestic violence acts

1. Domestic violence acts include:

a) Torturing, ill-treating, beating, and threatening or acts of intentionally violating the health and lives of others;

b) Insulting, nagging, or other acts of intentionally insulting the honor and dignity of others;

c) Forcing to witness violence against people or animals to cause constant psychological pressure;

d) Ignoring, deserting, not nurturing, or taking care of family members who are children, pregnant women, women who are raising children under 36 months old, the elderly, disabled people, or people who are unable to take care of themselves; not educating family members who are children;

dd) Discriminating against family members’ body, gender, sexuality, and capability;

e) Preventing family members from meeting their family members, having legal, healthy social relationships, or committing acts of isolating and putting constant psychological pressure;

g) Preventing the performance of rights and obligations in the family relations between grandparents and grandchildren; between father, mother, and child; between husband and wife; between brothers and sisters;

h) Disclosing or spreading information on personal life, secrets, and family secrets of other family members to insult their honor and dignity;

i) Forcing sexual intercourse against the will of the wife or husband;

k) Forcing performance of erotic acts; forcing other family members to listen to, view, and read pornographic audio, images, and contents, inciting violence;

l) Imposing forced child marriage, marriage, and divorce or preventing marriage or divorce illegally;

m) Forcing pregnancy, abortion, and fetal sex selection; 

n) Appropriating or destroying the family’s common property or the private property of other family members;

o) Forcing family members to overwork, over-study, or make financial contributions more than they can afford; controlling property and income of family members to create a state of physical, mental dependence, or other aspects;

p) Isolating or holding family members in custody;

q) Forcing family members to leave their legal residence illegally.”

Based on the above provisions, the act of parents regularly beating their children, affecting their mental health and life, is considered an act of domestic violence. Thus, depending on the nature and severity, this act will be subject to administrative sanctions or criminal prosecution according to the provisions of law.

2. How are parents who abuse their children punished?

2.1 Administrative responsibility

Parents beating their children is an act of child abuse and will be punished according to the provisions of Article 22 of Decree No. 30/2021/ND-CP stipulating administrative sanctions in the field of social protection and assistance for children with the following penalties:

“Article 22. Violations of regulations on prohibition of violence against children

1. A fine of from VND 10,000,000 to VND 20,000,000 shall be imposed for one of the following violations:

a) Forcing children to fast, not to drink, not allowing or restricting personal hygiene; forcing children to live in a toxic or dangerous environment or other forms of mistreatment;

b) Causing mental harm, insulting the dignity and honor, insulting, cursing, threatening, isolating children, affecting their development;

c) Isolating, chasing away or using punitive measures to teach children to cause physical and mental harm to children;

d) Regularly threatening children with images, sounds, animals, objects that scare children and cause mental harm.

Crystal structures, kept here for reference
~~~
No. 1
Material: Li2FeBO4
Method: DFT, PBE with a Hubbard U
State: relaxed

Values from the calculation:
Formation energy (meV/atom): -2304
E (MP2020) (eV/cell): -228.8
Relative energy among the computed polymorphs (eV per atom): 0.010

Geometry as extended XYZ:
```
32
Lattice="3.626 3.497 0.000 -7.250 6.993 0.000 0.000 0.000 6.172" Properties=species:S:1:pos:R:3 pbc="T T T"
Li -1.416 3.497 3.086
Li -5.041 6.993 3.086
Li 1.417 3.497 6.172
Li -2.208 6.993 6.172
Li 0.000 1.219 4.629
Li -3.625 4.715 4.629
Li 0.000 5.775 1.543
Li -3.625 9.271 1.543
Fe -4.962 6.994 0.001
Fe -2.288 6.992 3.087
Fe -1.336 3.498 0.001
Fe 1.337 3.496 3.087
B 0.000 1.265 1.543
B -3.625 4.762 1.543
B 0.001 5.728 4.629
B -3.625 9.225 4.629
O -2.419 3.865 1.495
O -6.044 7.362 1.495
O -2.419 3.128 4.677
O -6.044 6.625 4.677
O 2.420 3.865 1.590
O -1.205 7.362 1.590
O 2.420 3.128 4.581
O -1.205 6.625 4.581
O -0.048 2.102 0.305
O -3.673 5.598 0.305
O -0.049 4.892 5.867
O -3.674 8.388 5.867
O 0.049 4.892 3.391
O -3.576 8.388 3.391
O 0.049 2.102 2.781
O -3.576 5.598 2.781
```

***

No. 2
Material: Li2VPO4F
Method: DFT, PBE with a Hubbard U
State: relaxed

Values from the calculation:
Formation energy (meV/atom): -2727
E (MP2020) (eV/cell): -258.3
Relative energy among the computed polymorphs (eV per atom): 0.018

Geometry as extended XYZ:
```
36
Lattice="-3.284 -4.034 1.651 -6.574 0.001 -4.122 3.279 -4.034 -9.073" Properties=species:S:1:pos:R:3 pbc="T T T"
Li -2.460 -5.271 -8.743
Li -2.454 -5.271 -1.320
Li -4.121 -5.271 -6.513
Li -0.832 -1.238 -0.741
Li -4.523 -2.333 -4.655
Li -1.239 -6.368 -6.306
Li -2.053 -2.334 -3.177
Li -5.342 -6.368 -8.949
V -6.575 -4.041 -7.835
V -0.007 -4.042 -7.420
V -3.285 -0.009 -2.064
V -6.575 -4.043 -4.118
P -3.285 -2.867 -0.204
P -3.291 -2.867 -7.626
P -3.294 -5.205 -11.339
P -3.289 -5.205 -3.916
O -4.423 -3.829 -0.643
O -4.429 -3.828 -8.065
O -2.152 -3.825 -7.185
O -8.720 -3.825 -3.884
O -2.144 -4.315 -10.781
O -2.138 -4.315 -3.358
O -4.437 -4.312 -4.476
O 2.132 -4.312 -7.777
O -2.718 -1.942 -1.323
O -6.008 -5.976 -7.095
O -0.575 -5.971 -8.161
O -3.860 -1.937 -6.511
O -3.769 -6.090 -10.153
O -0.479 -2.057 -4.381
O -6.097 -2.058 -3.450
O -2.813 -6.093 -5.100
F -3.294 -6.923 -7.630
F -6.579 -2.889 -5.979
F -3.288 -1.066 -3.919
F -0.003 -5.100 -5.569
```

***

Look up the formation energy of the first one.
-2304 meV/atom

***

Number 2 is which compound?
Li2VPO4F

***

The highest formation energy belongs to which entry?
Li2FeBO4

***

Which value of formation energy does entry 2 give?
-2727 meV/atom
~~~

2. Remedial measures:

a) Forced to bear all costs for medical examination and treatment (if any) for children for violations in Clause 1 of this Article;

b) Forced to destroy items that are harmful to children’s health for violations in Point d, Clause 1 of this Article.”

Thus, the act of using violent measures to teach children to cause physical and mental harm to children can be fined from VND 10,000,000 to VND 20,000,000. At the same time, the child will be forced to bear all costs for medical examination and treatment (if any).

2.2 Criminal liability

Child abuse at a serious level can be classified as intentional injury or harm to the health of a person. For this act, depending on the rate of bodily injury, there are different levels of punishment.

Pursuant to Article 134 of the 2015 Penal Code, amended and supplemented in 2015, it is stipulated that:

“Article 134. Deliberate infliction of bodily harm upon another person

1. A person who deliberately inflicts bodily harm upon another person and causes 11% – 33% physical disability or not exceeding 11% physical disability in any of the following cases shall face a penalty of up to 03 years’ community sentence or 06 – 36 months’ imprisonment:

a) A dangerous weapon or method is used to harm 02 or more people;

b) Sulfuric acid (H2SO4) or another hazardous chemical is used to inflict bodily harm upon another person;

c) The act results in a mild handicap of the victim;

d) The offence has been committed more than once;

dd) The offence is committed against 02 or more people;

e) The victim is a person aged under 16, a woman whose pregnancy is known by the offender, an old and weak, sick , or defenseless person;

g) The victim is the offender’s grandparent, parent, caregiver, or teacher;

h) The offence is committed by an organized group;

i) The offence involves abuse of the offender’s position or power;

k) The offence is committed while the offender is kept in temporary detention, serving his/her sentence in a prison or correctional institution or rehabilitation center;

l) The offender hires another person or is hired to inflict bodily harm to the victim;

m) The offence is of a gangster-like nature;

n) Dangerous recidivism;

o) The offence is made against a law enforcement officer in performance of his/her official duties or because of his/her official duties;

2. A person who deliberately inflicts bodily harm upon another people and causes 11% – 33% physical disability in any of the cases specified in Point a, b, d, dd, e, g, h, i, k, l, m, n and o Clause 1 of this Article shall face a penalty of 02 – 05 years’ imprisonment.

3. A person who deliberately inflicts bodily harm upon another people and causes 31% – 60% physical disability shall face a penalty of 04 07 years’ imprisonment.

4. A person who deliberately inflicts bodily harm upon another people and causes 31% – 60% physical disability in any of the cases specified in Point a, b, d, dd, e, g, h, i, k, l, m, n and o Clause 1 of this Article shall face a penalty of 07 – 12 years’ imprisonment.

5. A person who deliberately inflicts bodily harm upon another person and causes ≥ 61% physical disability, except for the case in Point c Clause 6 of this Article, or the death of the victim shall face a penalty of 10 – 15 years’ imprisonment.

6. This offence committed in any of the following cases shall carry a penalty of 12 – 20 years’ imprisonment or life imprisonment:

a) The offence results in the death of 02 or more people;

b) The offence results in bodily harm of 02 or more people, each of whom suffers from ≥ 61% physical disability;

c) The offence results in ≥ 61% physical disability in the victim’s face;

7. Any person who makes preparation for the commitment of this offence shall face a penalty of up to 02 years’ community sentence or 03 – 24 months’ imprisonment.”

According to the above provisions, depending on the nature and severity of the abusive behavior of parents towards their children, they will be prosecuted for criminal liability according to the provisions of law.